### Input
=====
# 1
The following is a theoretical powder diffraction line list of CoHgGe2O6. It was derived from a GGA+U-relaxed structure, using Cu Kα (λ = 1.5418 Å).
Peak positions follow from Bragg's law for the DFT cell and can differ from measured ones.

Top 10 peaks for 5 to 70 degrees two-theta, most intense first:
- 2θ = 26.69°, intensity 100
- 2θ = 33.68°, intensity 80
- 2θ = 12.51°, intensity 72
- 2θ = 28.56°, intensity 64
- 2θ = 30.97°, intensity 53
- 2θ = 51.82°, intensity 32
- 2θ = 34.21°, intensity 29
- 2θ = 51.35°, intensity 24
- 2θ = 40.73°, intensity 22
- 2θ = 18.00°, intensity 21

Structure:
Cell: 7.294 7.294 5.643 Å, 103.93 103.93 88.36°
Positions (direct):
Co 0.249 0.751 0.750
Co 0.751 0.249 0.250
Hg 0.395 0.605 0.250
Hg 0.605 0.395 0.750
Ge 0.117 0.288 0.722
Ge 0.288 0.117 0.222
Ge 0.712 0.883 0.778
Ge 0.883 0.712 0.278
O 0.110 0.192 0.985
O 0.112 0.649 0.407
O 0.192 0.110 0.485
O 0.282 0.483 0.830
O 0.351 0.888 0.093
O 0.483 0.282 0.330
O 0.517 0.718 0.670
O 0.649 0.112 0.907
O 0.718 0.517 0.170
O 0.808 0.890 0.515
O 0.888 0.351 0.593
O 0.890 0.808 0.015


# 2
The following is a theoretical powder diffraction line list of EuZrCrBiO6. It was derived from a GGA+U-relaxed structure, using Cu Kα (λ = 1.5418 Å).
Peak positions follow from Bragg's law for the DFT cell and can differ from measured ones.

Top 10 peaks for 5 to 70 degrees two-theta, most intense first:
- 2θ = 31.27°, intensity 100
- 2θ = 55.65°, intensity 40
- 2θ = 44.80°, intensity 30
- 2θ = 65.23°, intensity 18
- 2θ = 38.54°, intensity 16
- 2θ = 21.97°, intensity 15
- 2θ = 50.44°, intensity 9
- 2θ = 69.73°, intensity 5
- 2θ = 19.00°, intensity 4
- 2θ = 36.84°, intensity 3

Structure:
Cell: 5.721 5.721 5.721 Å, 60.00 60.00 60.00°
Positions (direct):
Eu 0.000 0.000 0.000
Zr 0.250 0.250 0.250
Cr 0.750 0.750 0.750
Bi 0.500 0.500 0.500
O 0.507 0.507 0.993
O 0.507 0.993 0.507
O 0.507 0.993 0.993
O 0.993 0.507 0.507
O 0.993 0.507 0.993
O 0.993 0.993 0.507

~~~~~

KDyH2S2O9: simulated powder XRD pattern (Cu Kα (λ = 1.5418 Å)), based on a structure optimized by DFT (GGA-PBE).
Intensities are scaled so that the largest is 100.

The 12 most intense peaks (10° ≤ 2θ ≤ 80°), in order of falling intensity:
| (hkl) | 2theta | intensity |
| --- | --- | --- |
| 0 1 1 | 14.2 | 100 |
| 1 1 0 | 14.4 | 88 |
| 3 1 -2 | 28.7 | 74 |
| 1 2 1 | 27.0 | 70 |
| 1 1 2 | 28.0 | 52 |
| 2 0 -2 | 19.9 | 50 |
| 0 3 1 | 32.9 | 29 |
| 1 2 -1 | 23.0 | 27 |
| 2 1 -3 | 28.2 | 24 |
| 0 2 0 | 20.8 | 21 |
| 0 0 2 | 19.5 | 19 |
| 2 3 -3 | 41.3 | 17 |

Atomic structure:
Lattice parameters (Å, degrees): 10.1959 8.5573 10.4570 90.00 119.39 90.00
Fractional coordinates of all 60 atoms:
K: 0.2134 0.1983 0.2038
K: 0.2134 0.3017 0.7038
K: 0.7866 0.6983 0.2962
K: 0.7866 0.8017 0.7962
Dy: 0.2520 0.6455 0.0288
Dy: 0.2520 0.8545 0.5288
Dy: 0.7480 0.1455 0.4712
Dy: 0.7480 0.3545 0.9712
H: 0.3021 0.5107 0.4726
H: 0.3021 0.9893 0.9726
H: 0.4095 0.5532 0.6342
H: 0.4095 0.9468 0.1342
H: 0.5905 0.0532 0.8658
H: 0.5905 0.4468 0.3658
H: 0.6979 0.0107 0.0274
H: 0.6979 0.4893 0.5274
S: 0.0523 0.6401 0.1726
S: 0.0523 0.8599 0.6726
S: 0.4913 0.2070 0.6059
S: 0.4913 0.2930 0.1059
S: 0.5087 0.7070 0.8941
S: 0.5087 0.7930 0.3941
S: 0.9477 0.1401 0.3274
S: 0.9477 0.3599 0.8274
O: 0.0476 0.7461 0.0559
O: 0.0476 0.7539 0.5559
O: 0.0754 0.7305 0.3025
O: 0.0754 0.7695 0.8025
O: 0.0937 0.0561 0.3842
O: 0.0937 0.4439 0.8842
O: 0.1789 0.5299 0.2075
O: 0.1789 0.9701 0.7075
O: 0.3087 0.5762 0.5529
O: 0.3087 0.9238 0.0529
O: 0.3755 0.6347 0.8949
O: 0.3755 0.8653 0.3949
O: 0.3966 0.0818 0.6184
O: 0.3966 0.4182 0.1184
O: 0.4045 0.1973 0.9743
O: 0.4045 0.3027 0.4743
O: 0.4544 0.6956 0.2585
O: 0.4544 0.8044 0.7585
O: 0.5456 0.1956 0.2415
=====

### Exercise
Find "0.192 0.110" and "0.250 0.250" in the material earlier on, and retype these two lines and those between.

### Outcome
O 0.192 0.110 0.485
O 0.282 0.483 0.830
O 0.351 0.888 0.093
O 0.483 0.282 0.330
O 0.517 0.718 0.670
O 0.649 0.112 0.907
O 0.718 0.517 0.170
O 0.808 0.890 0.515
O 0.888 0.351 0.593
O 0.890 0.808 0.015


# 2
The following is a theoretical powder diffraction line list of EuZrCrBiO6. It was derived from a GGA+U-relaxed structure, using Cu Kα (λ = 1.5418 Å).
Peak positions follow from Bragg's law for the DFT cell and can differ from measured ones.

Top 10 peaks for 5 to 70 degrees two-theta, most intense first:
- 2θ = 31.27°, intensity 100
- 2θ = 55.65°, intensity 40
- 2θ = 44.80°, intensity 30
- 2θ = 65.23°, intensity 18
- 2θ = 38.54°, intensity 16
- 2θ = 21.97°, intensity 15
- 2θ = 50.44°, intensity 9
- 2θ = 69.73°, intensity 5
- 2θ = 19.00°, intensity 4
- 2θ = 36.84°, intensity 3

Structure:
Cell: 5.721 5.721 5.721 Å, 60.00 60.00 60.00°
Positions (direct):
Eu 0.000 0.000 0.000
Zr 0.250 0.250 0.250